(Listing)
'''
Diffraction record for Fe4W5. The XRD peak list is computed, not measured: it uses the PBE geometry in Alexandria and CuKα.
Lines closer than 0.1° are merged.

The 10 most intense peaks (2θ from 10° to 90°), in order of falling intensity:
| two_theta | intensity | index |
| --- | --- | --- |
| 43.33 | 100 | 1 1 2 |
| 41.18 | 90 | 3 0 0 |
| 40.53 | 46 | 2 1 1 |
| 29.54 | 45 | 1 1 1 |
| 61.31 | 28 | 2 2 2 |
| 76.54 | 19 | 4 1 2 |
| 36.13 | 15 | 2 1 0 |
| 68.27 | 12 | 4 0 2 |
| 84.22 | 12 | 5 1 1 |
| 64.51 | 11 | 3 2 1 |

Cell and atoms:
```
data_Fe4W5
_chemical_formula_sum 'Fe8 W10'
_cell_length_a 7.5945
_cell_length_b 7.5945
_cell_length_c 5.0006
_cell_angle_alpha 90.00
_cell_angle_beta 90.00
_cell_angle_gamma 120.00
_symmetry_space_group_name_H-M 'P 63/m c m'
_symmetry_Int_Tables_number 193
_symmetry_space_group_name_Hall '-P 6c 2'
loop_
_atom_site_label
_atom_site_fract_x
_atom_site_fract_y
_atom_site_fract_z
_atom_site_occupancy
Fe1 0.0000 0.0000 0.0000 1
Fe2 0.0000 0.3932 0.2500 1
W1 0.0000 0.2835 0.7500 1
W2 0.3333 0.6667 0.0000 1
```

---

Diffraction record for Fe5W. The XRD peak list is computed, not measured: it uses the PBE geometry in Alexandria and CuKα.
Lines closer than 0.1° are merged.

The 10 most intense peaks (2θ from 10° to 90°), in order of falling intensity:
| two_theta | intensity | index |
| --- | --- | --- |
| 43.69 | 100 | 1 3 1 |
| 74.65 | 19 | 2 6 0 |
| 50.43 | 16 | 0 6 0 |
| 51.06 | 16 | 2 0 0 |
| 16.33 | 15 | 0 2 0 |
| 51.17 | 15 | 0 0 2 |
| 26.23 | 13 | 1 1 0 |
| 36.51 | 12 | 1 1 1 |
| 75.20 | 9 | 2 0 2 |
| 29.96 | 9 | 0 2 1 |

Cell and atoms:
```
data_Fe5W
_chemical_formula_sum 'Fe10 W2'
_cell_length_a 3.5773
_cell_length_b 10.8574
_cell_length_c 3.5700
_cell_angle_alpha 90.00
_cell_angle_beta 90.00
_cell_angle_gamma 90.00
_symmetry_space_group_name_H-M 'C m m m'
_symmetry_Int_Tables_number 65
_symmetry_space_group_name_Hall '-C 2 2'
loop_
_atom_site_label
_atom_site_fract_x
_atom_site_fract_y
_atom_site_fract_z
_atom_site_occupancy
Fe1 0.0000 0.0000 0.0000 1
Fe2 0.0000 0.1710 0.5000 1
Fe3 0.0000 0.3289 0.0000 1
W1 0.0000 0.5000 0.5000 1
```

---

Diffraction record for YFe10W2. The XRD peak list is computed, not measured: it uses the PBE geometry in Alexandria and CuKα.
Lines closer than 0.1° are merged.

The 10 most intense peaks (2θ from 10° to 90°), in order of falling intensity:
| two_theta | intensity | index |
| --- | --- | --- |
| 42.47 | 100 | 1 2 3 |
| 21.53 | 70 | 1 1 0 |
| 43.91 | 65 | 2 2 0 |
| 14.59 | 61 | 0 1 1 |
| 36.90 | 59 | 1 3 0 |
| 47.54 | 55 | 1 1 4 |
| 36.60 | 55 | 1 0 3 |
| 42.35 | 49 | 0 4 0 |
| 48.96 | 47 | 2 2 2 |
| 38.22 | 35 | 2 0 0 |

Cell and atoms:
```
data_YFe10W2
_chemical_formula_sum 'Y2 Fe20 W4'
_cell_length_a 4.7095
_cell_length_b 8.5377
_cell_length_c 8.6329
_cell_angle_alpha 90.00
_cell_angle_beta 90.00
_cell_angle_gamma 90.00
_symmetry_space_group_name_H-M 'I m m m'
_symmetry_Int_Tables_number 71
_symmetry_space_group_name_Hall '-I 2 2'
loop_
_atom_site_label
_atom_site_fract_x
_atom_site_fract_y
_atom_site_fract_z
_atom_site_occupancy
Y1 0.0000 0.0000 0.0000 1
Fe1 0.0000 0.2785 0.5000 1
Fe2 0.0000 0.3585 0.0000 1
Fe3 0.0000 0.5000 0.2741 1
Fe4 0.2500 0.2500 0.2500 1
W1 0.0000 0.0000 0.3547 1
```
'''

(Work order)
Could you print all of the data above unchanged?

(Result)
Diffraction record for Fe4W5. The XRD peak list is computed, not measured: it uses the PBE geometry in Alexandria and CuKα.
Lines closer than 0.1° are merged.

The 10 most intense peaks (2θ from 10° to 90°), in order of falling intensity:
| two_theta | intensity | index |
| --- | --- | --- |
| 43.33 | 100 | 1 1 2 |
| 41.18 | 90 | 3 0 0 |
| 40.53 | 46 | 2 1 1 |
| 29.54 | 45 | 1 1 1 |
| 61.31 | 28 | 2 2 2 |
| 76.54 | 19 | 4 1 2 |
| 36.13 | 15 | 2 1 0 |
| 68.27 | 12 | 4 0 2 |
| 84.22 | 12 | 5 1 1 |
| 64.51 | 11 | 3 2 1 |

Cell and atoms:
```
data_Fe4W5
_chemical_formula_sum 'Fe8 W10'
_cell_length_a 7.5945
_cell_length_b 7.5945
_cell_length_c 5.0006
_cell_angle_alpha 90.00
_cell_angle_beta 90.00
_cell_angle_gamma 120.00
_symmetry_space_group_name_H-M 'P 63/m c m'
_symmetry_Int_Tables_number 193
_symmetry_space_group_name_Hall '-P 6c 2'
loop_
_atom_site_label
_atom_site_fract_x
_atom_site_fract_y
_atom_site_fract_z
_atom_site_occupancy
Fe1 0.0000 0.0000 0.0000 1
Fe2 0.0000 0.3932 0.2500 1
W1 0.0000 0.2835 0.7500 1
W2 0.3333 0.6667 0.0000 1
```

---

Diffraction record for Fe5W. The XRD peak list is computed, not measured: it uses the PBE geometry in Alexandria and CuKα.
Lines closer than 0.1° are merged.

The 10 most intense peaks (2θ from 10° to 90°), in order of falling intensity:
| two_theta | intensity | index |
| --- | --- | --- |
| 43.69 | 100 | 1 3 1 |
| 74.65 | 19 | 2 6 0 |
| 50.43 | 16 | 0 6 0 |
| 51.06 | 16 | 2 0 0 |
| 16.33 | 15 | 0 2 0 |
| 51.17 | 15 | 0 0 2 |
| 26.23 | 13 | 1 1 0 |
| 36.51 | 12 | 1 1 1 |
| 75.20 | 9 | 2 0 2 |
| 29.96 | 9 | 0 2 1 |

Cell and atoms:
```
data_Fe5W
_chemical_formula_sum 'Fe10 W2'
_cell_length_a 3.5773
_cell_length_b 10.8574
_cell_length_c 3.5700
_cell_angle_alpha 90.00
_cell_angle_beta 90.00
_cell_angle_gamma 90.00
_symmetry_space_group_name_H-M 'C m m m'
_symmetry_Int_Tables_number 65
_symmetry_space_group_name_Hall '-C 2 2'
loop_
_atom_site_label
_atom_site_fract_x
_atom_site_fract_y
_atom_site_fract_z
_atom_site_occupancy
Fe1 0.0000 0.0000 0.0000 1
Fe2 0.0000 0.1710 0.5000 1
Fe3 0.0000 0.3289 0.0000 1
W1 0.0000 0.5000 0.5000 1
```

---

Diffraction record for YFe10W2. The XRD peak list is computed, not measured: it uses the PBE geometry in Alexandria and CuKα.
Lines closer than 0.1° are merged.

The 10 most intense peaks (2θ from 10° to 90°), in order of falling intensity:
| two_theta | intensity | index |
| --- | --- | --- |
| 42.47 | 100 | 1 2 3 |
| 21.53 | 70 | 1 1 0 |
| 43.91 | 65 | 2 2 0 |
| 14.59 | 61 | 0 1 1 |
| 36.90 | 59 | 1 3 0 |
| 47.54 | 55 | 1 1 4 |
| 36.60 | 55 | 1 0 3 |
| 42.35 | 49 | 0 4 0 |
| 48.96 | 47 | 2 2 2 |
| 38.22 | 35 | 2 0 0 |

Cell and atoms:
```
data_YFe10W2
_chemical_formula_sum 'Y2 Fe20 W4'
_cell_length_a 4.7095
_cell_length_b 8.5377
_cell_length_c 8.6329
_cell_angle_alpha 90.00
_cell_angle_beta 90.00
_cell_angle_gamma 90.00
_symmetry_space_group_name_H-M 'I m m m'
_symmetry_Int_Tables_number 71
_symmetry_space_group_name_Hall '-I 2 2'
loop_
_atom_site_label
_atom_site_fract_x
_atom_site_fract_y
_atom_site_fract_z
_atom_site_occupancy
Y1 0.0000 0.0000 0.0000 1
Fe1 0.0000 0.2785 0.5000 1
Fe2 0.0000 0.3585 0.0000 1
Fe3 0.0000 0.5000 0.2741 1
Fe4 0.2500 0.2500 0.2500 1
W1 0.0000 0.0000 0.3547 1
```